Name: Justin Dubin, MD
Specialty: Urology
Education: Rutgers Robert Wood Johnson Medical School, Johns Hopkins University
Areas of Expertise: Urology
Current Position: UMiami Urology Resident
1. Why did you choose urology?
It may sound cliché, but I think that Urology, in many ways, chose me. Coming out of college, I was hired to work as a Clinical Research Coordinator in the Department of Urology at Weill Cornell Medical School in Manhattan. I honestly knew nothing about Urology when I was hired but over the two years working there I fell in love with it. What I love about Urology is that you really get the best of both worlds: you get meaningful experiences through outpatient procedures and patient interactions in clinic, as well as a rich surgical experience in the OR.
2. What is the last journal article or piece of research that significantly changed how you practice?
I think that the Holy Grail in Urology is to have a screening test that is both sensitive and specific for prostate cancer and also minimizes the morbidity of diagnosing the disease. This quest for better tools to diagnose clinically significant prostate cancer includes everything from genomic testing to MRI fusion biopsy. One of the more important studies on the topic is by Kasivisvanathan et al in the NEJM titled, “MRI-targeted or standard biopsy for prostate-cancer diagnosis,” which shows that the use of risk assessment with MRI before biopsy and MRI-targeted biopsy was superior to standard transrectal ultrasound-guided biopsies in at risk men who had not previously undergone biopsy.
3. How has technology impacted urology in the past several years?
In my opinion, Urology is one of the most technology-forward specialties. From pioneering robotic surgery with the Da Vinci robots to utilizing complex genomic data for the development of new cancer biomarkers to creating new MRI-fusion guided biopsies, Urology has been at the forefront of pushing technology to improve patient care. One of the most exciting aspects of Urology is getting to work with the newest, and let’s be honest here, coolest technology around.
4. What are your research interests?
Since starting here at UMiami I have been doing a lot of research in men’s health, sexual health, and infertility. I am very excited about my current projects, as to my knowledge we are the first institution to work with subjects in the adult entertainment industry. We recently had an abstract submitted looking at erectile dysfunction in male adult entertainers and will be submitting the manuscript shortly. We are also starting a project looking at female sexual dysfunction in female adult entertainers. I feel it is an important and understudied population that we can learn a lot about.
5. Outside of your daily practice, do you have any personal or professional projects that you’re passionate about?
Unrelated to this article: records of crystals:
-- begin --
Computed, not measured: TcNiAs4 after structural relaxation at the PBE level of DFT.

a = 4.947 Å, b = 6.444 Å, c = 6.341 Å
α = 90.00°, β = 91.90°, γ = 90.00°
Element x y z (fractional)
1 Tc 0.500 0.000 0.500
2 Ni 0.500 0.500 0.000
3 As 0.485 0.368 0.358
4 As 0.551 0.139 0.865
5 As 0.985 0.132 0.358
6 Tc 0.000 0.500 0.500
7 As 0.051 0.361 0.865
8 As 0.015 0.868 0.642
9 As 0.515 0.632 0.642
10 As 0.949 0.639 0.135
11 Ni 0.000 0.000 0.000
12 As 0.449 0.861 0.135

Properties
Its crystal system is monoclinic. The energy of formation comes out at -50 meV per atom. As for the space group: P2_1/c (14). For the total energy, the calculation gives -35.0 eV per formula unit.

Computed, not measured: TcNiAs after structural relaxation at the PBE level of DFT.

a = 3.995 Å, b = 3.995 Å, c = 3.995 Å
α = 60.00°, β = 60.00°, γ = 60.00°
Element x y z (fractional)
1 As 0.750 0.750 0.750
2 Tc 0.500 0.500 0.500
3 Ni 0.000 0.000 0.000

Properties
Its crystal system is cubic. The energy of formation comes out at -24 meV per atom. As for the space group: F-43m (216). For the total energy, the calculation gives -20.9 eV per formula unit.

Computed, not measured: TcNiAs after structural relaxation at the PBE level of DFT.

a = 4.084 Å, b = 4.084 Å, c = 4.084 Å
α = 60.00°, β = 60.00°, γ = 60.00°
Site moments in Bohr magnetons follow the coordinates.
Element x y z (fractional)
1 Ni 0.500 0.500 0.500  0.38
2 As 0.000 0.000 0.000  0.00
3 Tc 0.750 0.750 0.750  0.55

Properties
Its crystal system is cubic. The energy of formation comes out at 167 meV per atom. As for the space group: F-43m (216). For the total energy, the calculation gives -20.3 eV per formula unit.

Computed, not measured: TcNiAs2 after structural relaxation at the PBE level of DFT.

a = 5.439 Å, b = 5.439 Å, c = 6.633 Å
α = 65.80°, β = 65.80°, γ = 90.00°
Element x y z (fractional)
1 As 0.375 0.387 0.750
2 As 0.613 0.125 0.250
3 As 0.137 0.625 0.250
4 Tc 0.750 0.250 0.500
5 Ni 0.500 0.500 0.000
6 Tc 0.000 0.000 0.000
7 Ni 0.250 0.750 0.500
8 As 0.875 0.863 0.750

Properties
Its crystal system is tetragonal. The energy of formation comes out at 171 meV per atom. As for the space group: I-42d (122). For the total energy, the calculation gives -24.8 eV per formula unit.

Computed, not measured: TcNiAs after structural relaxation at the PBE level of DFT.

a = 6.249 Å, b = 5.994 Å, c = 2.839 Å
α = 81.66°, β = 71.62°, γ = 26.71°
Element x y z (fractional)
1 As 0.996 0.996 0.004
2 Tc 0.662 0.662 0.338
3 Ni 0.342 0.342 0.658

Properties
Its crystal system is orthorhombic. The energy of formation comes out at 349 meV per atom. As for the space group: Fmm2 (42). For the total energy, the calculation gives -19.7 eV per formula unit.

Computed, not measured: TcNiAs2 after structural relaxation at the PBE level of DFT.

a = 3.120 Å, b = 3.120 Å, c = 6.643 Å
α = 61.89°, β = 90.00°, γ = 90.00°
Element x y z (fractional)
1 As 0.000 0.504 0.497
2 As 0.000 0.996 0.003
3 Ni 0.500 0.250 0.250
4 Tc 0.500 0.750 0.750

Properties
-- stop --
I personally believe that all physicians would benefit from exploring their creativity by embracing the arts in one form or another. For me, I have always been passionate about film. In high school I used to write and create films and submit them to competitions. After college I started a film podcast, twoguysonemovie.com, with one of my best friends. We have been doing weekly films reviews for the last 8 years and it is something that I love doing and don’t see myself stopping any time soon.
6. What is a common misconception that other clinicians have about urology?
I think that one of the most misunderstood things about Urology is that people think it is specialty run by men with a focus on men. This is absolutely not the case. Both men and women have bladders, ureters, kidneys, and urethras so we serve many women. Over the last few years, more and more females have started specializing in Urology, and about 30% of current Urology residents are female. UMiami is definitely embracing the increase in female interest, as the last two incoming classes have been 66% female! I am excited for the future of Urology and the direction that the field is going in.
7. Who are your mentors?
-- The page is interrupted by materials data --
'''
Compound: CrPbO2
Source: Alexandria
Functional: GGA+U
Structure: optimized geometry

Lattice parameters (Å, degrees): 6.7730 6.7730 6.7730 30.82 30.82 30.82
Last column: nearest neighbours and their distance in Å.
Fractional coordinates of all 4 atoms:
Cr1 0.0000 0.0000 0.0000  2 O 1.91
Pb1 0.5000 0.5000 0.5000  6 O 2.46
O1 0.0986 0.0986 0.0986  1 Cr 1.91
O2 0.9014 0.9014 0.9014  1 Cr 1.91

Results
The value obtained for the total energy is -24.40 eV/cell.


Compound: Ti5Zn4Hg
Source: Alexandria
Functional: GGA-PBE
Structure: relaxed

Results
DOS(E_F) in states/eV/f.u.: 5.9
M_tot in μB per atom: 0.00
E_form in eV/f.u.: -1.4

Geometry as POSCAR:
```
Ti5Zn4Hg
1.0
3.146 0.000 0.000
0.000 3.146 0.000
0.000 0.000 16.385
Ti Zn Hg
5 4 1
Cartesian
1.573 1.573 11.326
1.573 1.573 14.489
1.573 1.573 5.059
1.573 1.573 8.193
1.573 1.573 1.896
0.000 0.000 3.490
0.000 0.000 12.895
0.000 0.000 9.762
0.000 0.000 6.623
0.000 0.000 0.000
```


# 1
A relaxed NdThCuPd crystal. Source: the Alexandria database, functional GGA-PBE.

Lattice parameters (Å, degrees): 3.851 4.619 5.772 90.00 109.49 90.00
Fractional positions:
Th  0.863  0.500  0.725
Pd  0.571  0.500  0.143
Nd  0.143  0.000  0.287
Cu  0.423  0.000  0.845

size of the total moment	0.0	μB/f.u.
calculated total energy	-23.26	eV per cell
energy above the most stable polymorph in this dataset	0.000	eV per atom
calculated formation energy	-0.447	eV per atom

---

# 2
A relaxed ScCd2P crystal. Source: the Alexandria database, functional GGA-PBE.

Lattice parameters (Å, degrees): 5.522 5.522 5.522 139.00 130.38 66.26
Fractional positions:
Cd  0.990  0.990  0.000
Cd  0.268  0.768  0.500
P  0.524  0.524  0.000
Sc  0.719  0.219  0.500

size of the total moment	0.0	μB/f.u.
calculated total energy	-14.37	eV per cell
calculated formation energy	-0.199	eV per atom

---

# 3
A relaxed CaSbI2N crystal. Source: the Alexandria database, functional GGA-PBE.

Lattice parameters (Å, degrees): 5.037 5.037 4.999 90.00 90.00 90.00
Fractional positions:
Sb  0.000  0.000  0.500
I  0.500  0.000  0.000
I  0.000  0.500  0.000
Ca  0.500  0.500  0.500
N  0.000  0.000  0.000

size of the total moment	0.0	μB/f.u.
calculated total energy	-16.20	eV per cell
energy above the most stable polymorph in this dataset	0.212	eV per atom

---

# 4
A relaxed Tl5BiPb crystal. Source: the Alexandria database, functional GGA-PBE.

Lattice parameters (Å, degrees): 5.154 5.154 8.809 90.00 90.00 90.00
Fractional positions:
Tl  0.000  0.500  0.736
Tl  0.500  0.000  0.264
Tl  0.500  0.500  0.000
Tl  0.000  0.500  0.264
Tl  0.500  0.000  0.736
Bi  0.000  0.000  0.000
Pb  0.000  0.000  0.500

size of the total moment	0.0	μB/f.u.
calculated total energy	-19.00	eV per cell
energy above the most stable polymorph in this dataset	0.019	eV per atom
calculated formation energy	0.060	eV per atom

---

# 5
A relaxed TlCoCu2 crystal. Source: the Alexandria database, functional GGA-PBE.

Lattice parameters (Å, degrees): 4.349 4.349 4.349 60.00 60.00 60.00
'''
At each step in my life I have found that I have had different mentors that have played important roles in my progression as a researcher, as a physician, and most importantly, as a person. My parents are, and will always be, my most important mentors. They have instilled me with the values that I have and made me the person I am today. In college, working under Dr. William Earnshaw at the University of Edinburgh I learned how to think like a scientist and a researcher. Dr. Edward McFarland at Hopkins gave me my first exposure to surgery and helped guide me to a career as a surgeon. As a clinical research coordinator at Cornell, Dr. Shahrokh Shariat and Dr. Doug Scherr introduced me to the world of Urology and clinical research. They were major reasons why I fell in love with Urology. Currently at University of Miami, Dr. Ranjith Ramasamy, has played a significant role in my progression as a Urologist and has been a key mentor in supporting my current research endeavors.
8. What’s the best advice you’ve ever received?
When I first started working as a Clinical Research Coordinator at Cornell, I felt overwhelmed with the job and the plethora of new information I had to learn. It was becoming apparent to my attendings I was getting stressed out. I remember very specifically Dr. Shahrokh Shariat telling me, “Develop a healthy approach towards stress relief. As you go into medical school and beyond, life will be stressful and it is important you develop the right habits now so they become second nature later on.” I took that to heart and focused on going to the gym or going to the movies as main stress relievers. Even now during residency, I find that going to the gym or simply watching a movie helps relieve the day’s stresses and no matter how busy I am, I make the time to do the things that make me feel better. I recommend that everyone develop a healthy form of stress management. Physicians live stressful lives, which mostly focus on taking care of everyone except for ourselves. It’s important to take a step back on occasion and make sure we are taking care of ourselves as well.
9. Can you talk more about the “Socratic Paradox” you gave a MED Talk on?
The Socratic Paradox is based on the phrase, “I know one thing, that I know nothing.” So we have Socrates, literally known to be one of the smartest minds in the history of man, saying that in the spectrum of knowledge in the world, even he knows nothing. The problem I often see with physicians is that we often suffer from overconfidence in our decisions and skills, which in the long run can lead us to more closed mindedness. By understanding the paradox and accepting the fact that we do not know everything, we open ourselves to incredible opportunities. We are motivated to collaborate with others, think outside the box, and challenge the status quo of medical practice. Quite simply, only after acknowledging that we don’t know anything, do we actually start to learn everything.
10. How do you motivate patients to do what’s best for their health?
I think the best thing you can do is first and foremost listen to them. Understand their situation and show empathy for what they are going through and understand the possible barriers to achieving our health goal. Often times, the biggest barrier is education. I find taking the extra 5 minutes to listen to them and then explain in layman’s terms what the situation is, why we want to do what we are going to do, and what the results should be once we do it, make all the difference. Listening is the key to motivation and the best part is you build a richer patient relationship because of it.
11. What is the biggest challenge or obstacle in urology?
The biggest challenge as a Urology resident, in truth, is really the biggest challenge that any physician faces: preventing burnout. Medscape’s January article shows that 42% of doctors reported burnout. As physicians we all struggle to find balance between our professional lives and personal ones. It is imperative that we as physicians take note of our colleagues’ mental and physical health and support one another. We are all in this together and if we cannot take care of ourselves, we will never be able to help those who need us the most.
14. What are your favorite Doximity features and how have they helped your productivity (Dialer, DocNews, Career Navigator, e-Fax, etc.)?
The Doximity Dialer for my phone has without question made my life easier. Gone are the days of using *67 to hide my phone number. The Dialer provides me with a fast and easy way to make work-related calls while preserving my privacy.